=====
1.
This record from the Alexandria database describes an optimized crystal structure of Cs2PaSO6. The functional is PBE-GGA.

Cell and atoms, written as CIF:
```
data_Cs2PaSO6
_chemical_formula_sum 'Cs4 Pa2 S2 O12'
_symmetry_space_group_name_H-M 'I 4/m m m'
_symmetry_Int_Tables_number 139
_symmetry_space_group_name_Hall '-I 4 2'
_cell_length_a 5.675
_cell_length_b 5.675
_cell_length_c 12.199
_cell_angle_alpha 90.00
_cell_angle_beta 90.00
_cell_angle_gamma 90.00
loop_
_atom_site_label
_atom_site_fract_x
_atom_site_fract_y
_atom_site_fract_z
_atom_site_occupancy
Cs1 0.000 0.500 0.250 1
Pa1 0.000 0.000 0.000 1
S1 0.000 0.000 0.500 1
O1 0.000 0.000 0.160 1
O2 0.207 0.207 0.500 1
```

Calculated values
* E: -127.836 eV per cell
* formation energy without anion corrections: -1.88 eV per atom
* crystal system: tetragonal
* Fermi-level density of states: 6.6 states/eV per cell

2.
This record from the Alexandria database describes an optimized crystal structure of CsPaSb2O7. The functional is PBE-GGA.

Cell and atoms, written as CIF:
```
data_CsPaSb2O7
_chemical_formula_sum 'Cs1 Pa1 Sb2 O7'
_symmetry_space_group_name_H-M 'P 4/m m m'
_symmetry_Int_Tables_number 123
_symmetry_space_group_name_Hall '-P 4 2'
_cell_length_a 3.995
_cell_length_b 3.995
_cell_length_c 11.570
_cell_angle_alpha 90.00
_cell_angle_beta 90.00
_cell_angle_gamma 90.00
loop_
_atom_site_label
_atom_site_fract_x
_atom_site_fract_y
_atom_site_fract_z
_atom_site_occupancy
Cs1 0.000 0.000 0.000 1
Pa1 0.000 0.000 0.500 1
Sb1 0.500 0.500 0.305 1
O1 0.000 0.500 0.359 1
O2 0.500 0.500 0.143 1
O3 0.500 0.500 0.500 1
```

Calculated values
* E: -73.130 eV per cell
* formation energy without anion corrections: -1.80 eV per atom
* crystal system: tetragonal
* Fermi-level density of states: 5.9 states/eV per cell

3.
This record from the Alexandria database describes an optimized crystal structure of CsPa2SbO8. The functional is PBE-GGA.

Cell and atoms, written as CIF:
```
data_CsPa2SbO8
_chemical_formula_sum 'Cs2 Pa4 Sb2 O16'
_symmetry_space_group_name_H-M 'C 1 2/m 1'
_symmetry_Int_Tables_number 12
_cell_length_a 9.131
_cell_length_b 6.717
_cell_length_c 7.908
_cell_angle_alpha 90.00
_cell_angle_beta 105.50
_cell_angle_gamma 90.00
loop_
_symmetry_equiv_pos_as_xyz
'x,y,z'
'-x,-y,-z'
'-x,y,-z'
'x,-y,z'
'x+1/2,y+1/2,z'
'-x+1/2,-y+1/2,-z'
'-x+1/2,y+1/2,-z'
'x+1/2,-y+1/2,z'
loop_
_atom_site_label
_atom_site_fract_x
_atom_site_fract_y
_atom_site_fract_z
_atom_site_occupancy
Cs1 0.000 0.000 0.000 1
Pa1 0.060 0.500 0.234 1
Sb1 0.000 0.000 0.500 1
O1 0.013 0.218 0.328 1
O2 0.136 0.500 0.990 1
O3 0.226 0.000 0.598 1
```

Calculated values
* E: -189.070 eV per cell
* formation energy without anion corrections: -2.58 eV per atom
* crystal system: monoclinic
* Fermi-level density of states: 0.0 states/eV per cell
=====
It remains to copy only the lines above with the word "Pa1" in them.
Pa1 0.000 0.000 0.000 1
_chemical_formula_sum 'Cs1 Pa1 Sb2 O7'
Pa1 0.000 0.000 0.500 1
Pa1 0.060 0.500 0.234 1